Terhi Skaniakos

Yliopistosta työelämään : opintopolun työelämäorientaatiota tukemassa

research product

Pienryhmäohjaajien vertaisryhmä andragogisessa koulutuksessa

Erilaisten yhteistyön muotojen, vuorovaikutuksen ja jakamisen merkitystä korostetaan tutkimuksissa, mutta opettajien ja ohjaajien kollegiaalisen tuen muotoja ei juurikaan edistetä rakenteellisin tai organisatorisin keinoin. Vertaistuki vahvistaa ohjaajien työssä kehittymistä ja jaksamista sekä koulutuksen kehittämistä.

research product

Alkusivut, Vol 22 (2010)

research product

Vertaisuus voimavarana ohjauksessa

research product

Miten työelämäorientaatiota voidaan tukea koulutuksen aikana?

”työelämäorientaation vahvistamisella koko opiskelun ajan ja sitä kautta tietojen, taitojen ja valmiuksien kehittymisellä on merkitystä yksilön koko elämään. Opiskelun mielekkäät työelämäyhteydet kytkeytyvät elämänkokonaisuuteen ja viime kädessä on kyse laajasti opiskelijan hyvinvoinnin tukemisesta”, perustelevat kirjoittajat työelämähorisontin kytkemistä opiskeluun lähtien henkilökohtaisista hops-prosesseista.

research product

Lapsellisen tuttua fantasiaa : turvallinen toiseus elokuvissa E.T. ja WALL-E

research product

Toista tietä maisteriksi : maisteriopiskelijoiden kokemuksia ohjauksesta Jyväskylän yliopistossa

Tutkimukseni tavoitteena on tarkastella Jyväskylän yliopiston maisterivai-heen opintoihin vuosina 2011 ja 2012 sisään otettujen opiskelijoiden kokemuksia ohjauksesta. Tarkastelun kohteena ovat erityisesti opiskelijat, jotka valitaan Jy-väskylän yliopistoon suorittamaan maisteriopintoja perustutkintoihin kuulu-vissa suomenkielisissä pääaineissa, ei siis erillisissä maisteriohjelmissa. Lisäksi kohderyhmän opiskelijat ovat suorittaneet vaadittavat taustaopintonsa jossakin muussa kuin Jyväskylän yliopistossa. Työn tavoitteena on selvittää, miten opis-kelijat ovat kokeneet ohjauksen siirtymävaiheessa maisteriopintoihin Jyväskylän yliopistoon, sekä opiskelujen aikana suhteessa opiskelukäytänteide…

research product

Mikä ihmeen monimuotogradu?

research product

The meaning of peer group mentoring in the university context

Peer mentoring is commonly used for didactical and learning purposes. In this study we examine peer group mentoring in the university context. The aim is to promote understanding of peer group mentoring based on a meta-analysis of two primary studies: teacher students and teacher group tutors. As a result, three core categories were found: 1) Individual’s participation in the group, 2) Professional development with others and 3) Community enabling sharing and development. These were hierarchically organized and there are critical aspects placed in between the core categories. Professional and personal experiences intertwine to enhance participants’ self-understanding and professional develo…

research product

Discoursing Finnish rock : articulations of identities in the Saimaa-ilmiö rock documentary

research product

Miten työelämäorientaatiota voidaan tukea koulutuksen aikana? : korkeakouluopiskelun pedagoginen työelämähorisontti

”Työelämäorientaation vahvistamisella koko opiskelun ajan ja sitä kautta tietojen, taitojen ja valmiuksien kehittymisellä on merkitystä yksilön koko elämään. Opiskelun mielekkäät työelämäyhteydet kytkeytyvät elämänkokonaisuuteen ja viime kädessä on kyse laajasti opiskelijan hyvinvoinnin tukemisesta”, perustelevat kirjoittajat työelämähorisontin kytkemistä opiskeluun lähtien henkilökohtaisista hops-prosesseista. peerReviewed

research product

Patterns of university teachers’ approaches to teaching, professional development and perceived departmental cultures

'''
# 1
VASP calculation (PBE) on a relaxed structure of YGa2Cu.

Geometry as POSCAR:
```
YGa2Cu
1.0
2.072 1.196 5.137
-2.072 1.196 5.137
0.000 -2.392 5.137
Y Ga Cu
1 2 1
Direct
0.000 0.000 0.000
0.215 0.215 0.215
0.785 0.785 0.785
0.500 0.500 0.500
```

Values from the calculation:
E: -4.637 eV/atom
volume: 76.4 Å³/cell

***

# 2
VASP calculation (PBE) on a relaxed structure of Tb2PrErSe4.

Geometry as POSCAR:
```
Tb2PrErSe4
1.0
7.103 0.000 0.000
0.000 4.065 0.000
-2.333 0.000 6.881
Tb Pr Er Se
2 1 1 4
Direct
0.000 0.000 0.000
0.000 0.500 0.500
0.500 0.000 0.500
0.500 0.500 0.000
0.242 0.500 0.238
0.250 0.000 0.759
0.750 0.000 0.241
0.758 0.500 0.762
```

Values from the calculation:
E: -5.829 eV/atom
volume: 198.7 Å³/cell
'''

Many studies have been conducted about academics’ approaches to teaching, professional development and perceived departmental culture, but their interconnectedness has been considered to a lesser extent. The research presented here examined these patterns comparatively by disciplinary fields and years of teaching experience. Three inventories were filled in by 1141 academics from one Finnish and two Hungarian universities. Based on a hierarchical cluster analysis, four patterns emerged: (1) Experimenters with diverse teaching approaches; (2) Experimenters perceiving their department’s culture as most supportive and collaborative; (3) Individualistic knowledge-focused teachers; and (4) Stude…

research product

Study guidance experiences, study progress, and perceived learning outcomes of Finnish university students

In recent decades, the massification and diversification of higher education have generated new challenges for the guidance of university students. The present study focuses on students’ experiences of guidance in relation to their study progress and perceptions of their learning outcomes. The data (n = 4916) were collected from 2010–2013 through yearly Internet surveys whose targeted respondents were the students of a Finnish University. According to the results, general study guidance was a very strong predictor of students’ self-assessed development of their academic and generic skills as well as working life orientation. It also decreased the probability of slow progress in studies. Sig…

research product

Supporting students' pedagogical working life horizon in higher education

In this article, we introduce a model of a pedagogical working life horizon. It encompasses questions posed by individual students concerning their future and incorporates the idea of a working life orientation to the pedagogical possibilities within education. Working life orientation consists of three elements: individual relationship, knowledge and skills and employability. In the model, we aim to outline how an orientation to working life might be included in higher education, providing a broad perspective on the various pedagogical possibilities. There are two key pedagogical elements supporting the implementation of the pedagogical working life horizons model: reflection and an inquir…

research product

........
DFT (PBE-GGA) results for GdCo5P3 after structural relaxation.

Calculated density, g cm⁻³: 8.20
Total DFT energy (no corrections), Ry/atom: -0.522
Space-group type: Pnma

abc: 11.740 3.656 10.285
angles: 90.00 90.00 90.00
Fractional coordinates of all 36 atoms:
Gd (0.703, 0.250, 0.583)
Gd (0.797, 0.750, 0.083)
Gd (0.297, 0.750, 0.417)
Gd (0.203, 0.250, 0.917)
P (0.892, 0.250, 0.897)
P (0.130, 0.750, 0.728)
P (0.630, 0.750, 0.772)
P (0.111, 0.250, 0.418)
P (0.370, 0.250, 0.228)
P (0.108, 0.750, 0.103)
P (0.889, 0.750, 0.582)
P (0.611, 0.250, 0.082)
P (0.608, 0.750, 0.397)
P (0.870, 0.250, 0.272)
P (0.392, 0.250, 0.603)
P (0.389, 0.750, 0.918)
Co (0.512, 0.750, 0.594)
Co (0.489, 0.250, 0.785)
Co (0.824, 0.750, 0.780)
Co (0.989, 0.250, 0.715)
Co (0.432, 0.250, 0.032)
Co (0.698, 0.250, 0.883)
Co (0.011, 0.750, 0.285)
Co (0.302, 0.750, 0.117)
Co (0.198, 0.250, 0.617)
Co (0.324, 0.750, 0.720)
Co (0.176, 0.250, 0.220)
Co (0.802, 0.750, 0.383)
Co (0.568, 0.750, 0.968)
Co (0.676, 0.250, 0.280)
Co (0.988, 0.250, 0.094)
Co (0.488, 0.250, 0.406)
Co (0.511, 0.750, 0.215)
Co (0.932, 0.250, 0.468)
Co (0.068, 0.750, 0.532)
Co (0.012, 0.750, 0.906)

DFT (PBE-GGA) results for GdHgAsO after structural relaxation.

Calculated density, g cm⁻³: 8.20
Total DFT energy (no corrections), Ry/atom: -0.360
Space-group type: Pmc2_1

abc: 4.247 6.231 6.872
angles: 90.00 90.00 90.00
Fractional coordinates of all 8 atoms:
As (0.000, 0.711, 0.322)
As (0.000, 0.289, 0.822)
Gd (0.500, 0.537, 0.584)
Gd (0.500, 0.463, 0.084)
O (0.500, 0.716, 0.859)
O (0.500, 0.284, 0.359)
Hg (0.000, 0.920, 0.988)
Hg (0.000, 0.080, 0.488)

DFT (PBE-GGA) results for YHo2Al3Si2Ir after structural relaxation.

Calculated density, g cm⁻³: 7.16
Total DFT energy (no corrections), Ry/atom: -0.444
Space-group type: Amm2

abc: 4.213 6.899 6.899
angles: 120.05 90.00 90.00
Fractional coordinates of all 9 atoms:
Ho (0.000, 0.416, 0.000)
Ho (0.000, 0.000, 0.416)
Si (0.500, 0.667, 0.332)
Si (0.500, 0.332, 0.667)
Y (0.000, 0.583, 0.583)
Al (0.500, 0.767, 0.000)
Al (0.500, 0.000, 0.767)
Al (0.500, 0.233, 0.233)
Ir (0.000, 0.002, 0.002)

DFT (PBE-GGA) results for Tb2NdCd3Ag3 after structural relaxation.

Calculated density, g cm⁻³: 8.69
Total DFT energy (no corrections), Ry/atom: -0.230
Space-group type: Amm2
ΔH_f (0 K), kJ per mole of atoms: -32.5

abc: 3.959 7.919 7.919
angles: 120.19 90.00 90.00
Fractional coordinates of all 9 atoms:
Tb (0.000, 0.405, 0.000)
Tb (0.000, 0.000, 0.405)
Ag (0.500, 0.668, 0.329)
Ag (0.000, 0.002, 0.002)
Ag (0.500, 0.329, 0.668)
Cd (0.500, 0.260, 0.260)
Cd (0.500, 0.002, 0.739)
Cd (0.500, 0.739, 0.002)
Nd (0.000, 0.595, 0.595)

DFT (PBE-GGA) results for Tb2MgCd after structural relaxation.

Calculated density, g cm⁻³: 7.12
Total DFT energy (no corrections), Ry/atom: -0.223
Space-group type: Ama2

abc: 5.349 6.836 6.836
angles: 121.93 90.00 90.00
Fractional coordinates of all 8 atoms:
Tb (0.250, 0.159, 0.812)
Tb (0.750, 0.342, 0.188)
Tb (0.750, 0.812, 0.159)
Tb (0.250, 0.188, 0.342)
........

Peer Group Mentoring Programmes in Finnish Higher Education––Mentors’ Perspectives

Peer mentoring is one of the most important guidance practices for first-year students entering higher education and academic life. We are interested in mentors’ roles and apply the ideas of group counseling in order to increase the understanding of peer mentoring. Other aspects of guidance––content, methods, and collaboration––are approached on the basis of the holistic career guidance model. The data were gathered via an online questionnaire (n = 784) from 20 Finnish HE institutions. The results show that peer mentoring is a positive experience. The main emphasis is on the personal, psychosocial aspects of the student’s life. We identified four mentor types based on used activities. The e…

research product

Creating a National Digital Learning Environment for Enhancing University Teachers' Pedagogical Expertise - The Case UNIPS

This article analyses the design, implementation, and evaluation of a nation-wide project to create a common digital solution for university teaching staff’s pedagogical training in Finland. During three years, eight universities collaborated in developing an online learning platform called UNIPS, the University Pedagogical Support system. The areas to develop were A) a learning platform based on technical design principles, B) pedagogical principles, and C) broadening the scope of offered studies. The results have been promising. With a carefully planned timetable, all participating universities were able to produce, test, and offer UNIPS modules in collaboration with other universities on…

research product